### To do
Please start at the top of the calculation results below and quote each line, ending with the one that has "-4.489".

### Source
____________
Entry 1:
C3H11N | ωB97M-V with the def2-TZVPD basis set

- SMILES = CCC.N
- HOMO energy (eV) = -10.153
- charge = 0
- Kohn-Sham gap (eV) = 11.07
- ΔE to the lowest compared entry with this formula, charge and spin (kJ/mol) = 11.75
- spin multiplicity = 1

CARTESIAN COORDINATES (ANGSTROEM)
C: 0.6836 1.2561 -1.2449
C: 0.6153 -0.2593 -1.2482
C: -0.7312 -0.8770 -1.5565
H: 0.2023 1.6664 -2.1458
H: 1.7005 1.6424 -1.2824
H: 0.1490 1.7293 -0.4225
H: 0.8019 -0.5539 -0.2288
H: 1.4654 -0.7259 -1.7293
H: -0.7329 -1.9419 -1.3273
H: -1.4990 -0.4361 -0.9102
H: -1.1378 -0.7527 -2.5646
N: -0.4121 -0.0558 3.5849
H: 0.2368 -0.3154 2.8525
H: -0.4800 -0.8484 4.2078
H: -1.2822 0.1040 3.1352

Forces on atoms 1 to 2 (eV/Å):
C -0.40 0.58 -1.25
C 0.12 -0.01 1.05

Charges in e, computed with Löwdin, in the same order as the atoms: -0.126 -0.332 -0.129 0.071 0.066 0.068 0.079 0.097 0.066 0.071 0.069 0.015 -0.004 0.004 -0.015

=====

Entry 2:
C27H26GaN9O5S | ωB97M-V with the def2-TZVPD basis set

- HOMO energy (eV) = -7.417
- charge = 0
- Kohn-Sham gap (eV) = 5.90
- ΔE to the lowest compared entry with this formula, charge and spin (kJ/mol) = 155.30
- spin multiplicity = 1

CARTESIAN COORDINATES (ANGSTROEM)
Ga: -0.2196 0.8492 -0.2473
O: -3.9408 -0.3130 5.4153
C: -2.9666 0.4493 5.4767
O: -2.4631 1.0275 6.4442
C: -2.1859 0.6213 4.1208
C: -0.8859 1.1039 4.0466
C: -0.2312 1.2352 2.8228
N: -0.8626 0.8200 1.6986
C: -2.1327 0.3190 1.7378
C: -2.8097 0.2212 2.9671
C: -2.6013 -0.3726 0.4443
O: -3.6834 -0.9759 0.3200
O: -1.6949 -0.3462 -0.4827
H: -0.4432 1.3314 4.9637
H: 0.6263 1.8012 2.6558
H: -3.7797 -0.2344 3.1360
C: 0.9070 -4.2658 -3.7157
C: 1.9522 -3.0739 -3.6715
N: 1.3146 -1.7941 -3.5845
C: 0.7683 -1.1728 -4.7912
C: -0.7706 -1.3944 -5.0457
C: 1.0371 -1.2461 -2.3633
S: 0.6415 0.4790 -2.3938
N: 1.1295 -2.0729 -1.3279
C: 1.0895 -1.7550 -0.0468
O: 1.0525 -0.5990 0.4171
C: 1.0573 -2.8747 0.9127
C: 1.0844 -4.1496 0.2862
C: 0.7754 -5.2715 1.0434
C: 0.4495 -5.1078 2.3907
C: 0.4999 -3.9026 3.0102
C: 0.8335 -2.7692 2.2494
H: 1.5126 -5.1586 -3.6561
H: 0.2546 -4.1994 -4.5605
H: 0.3197 -4.2063 -2.8116
H: 2.6027 -3.0453 -4.5718
H: 2.5701 -3.1853 -2.7380
H: 1.3960 -1.6172 -5.5504
H: 1.0890 -0.1746 -4.8036
H: -1.1238 -2.4421 -4.9768
H: -1.0567 -0.9472 -5.9976
H: -1.4469 -0.8286 -4.4113
H: 1.3772 -4.2414 -0.7279
H: 0.7529 -6.2867 0.6742
H: 0.2590 -6.0473 2.8611
H: 0.3027 -3.8690 4.1122
H: 0.9225 -1.8335 2.7193
N: 3.0673 1.2454 0.6814
C: 2.4584 2.4519 0.7226
N: 3.2079 3.5001 1.1504
C: 2.5233 4.6576 1.1897
N: 3.0858 5.7721 1.6839
N: 1.2494 4.8558 0.6539
C: 0.6374 3.7122 0.3342
N: 1.1932 2.4940 0.2743
C: -0.7555 3.7872 -0.1039
C: -1.5263 4.9338 -0.0609
C: -2.8259 4.8437 -0.5801
C: -3.3089 3.6816 -1.1102
C: -2.5005 2.5405 -1.0624
N: -1.2453 2.6545 -0.5665
H: 4.0032 1.2032 1.0990
H: 2.5962 0.4125 0.3622
H: 4.0364 5.7006 2.0238
H: 2.5410 6.5903 1.6900
H: -1.1060 5.7488 0.4864
H: -3.5177 5.6066 -0.5682
H: -4.3129 3.5854 -1.5162
H: -2.7796 1.5379 -1.2335

Forces on atoms 1 to 2 (eV/Å):
Ga 0.56 -0.30 0.35
O -0.15 0.11 -0.48

Charges in e, computed with Löwdin, in the same order as the atoms: 0.163 -0.025 -0.697 -0.026 -0.078 0.035 -0.050 0.058 -0.100 0.078 -0.520 0.074 -0.059 0.099 0.086 0.133 -0.045 -0.191 -0.154 -0.223 -0.048 -0.577 0.841 0.121 -0.403 -0.059 -0.125 0.001 -0.055 -0.093 -0.054 -0.003 0.068 0.049 0.057 0.123 0.123 0.109 0.054 0.073 0.069 0.056 0.079 0.104 0.101 0.131 0.102 0.204 -0.402 0.181 -0.396 0.183 0.187 -0.255 0.127 -0.190 0.053 -0.015 -0.003 -0.012 0.079 0.132 0.069 0.122 0.096 0.113 0.094 0.126 0.106

=====

Entry 3:
C29H38As2F3MnN6O3 | ωB97M-V with the def2-TZVPD basis set

- HOMO energy (alpha / beta) (eV) = -4.566 / -4.489
- charge = -1
- Kohn-Sham gap (alpha / beta) (eV) = 6.97 / 6.89
- ΔE to the lowest compared entry with this formula, charge and spin (kJ/mol) = 94.53
- spin multiplicity = 2

CARTESIAN COORDINATES (ANGSTROEM)
Mn: -0.0829 -0.3629 0.1630
N: 0.2464 1.8788 -0.4941
C: -1.1456 2.3573 -0.4334
C: -1.6555 1.9839 0.9626
O: -2.0093 2.8634 1.7599
____________

### Completed
Entry 1:
C3H11N | ωB97M-V with the def2-TZVPD basis set

- SMILES = CCC.N
- HOMO energy (eV) = -10.153
- charge = 0
- Kohn-Sham gap (eV) = 11.07
- ΔE to the lowest compared entry with this formula, charge and spin (kJ/mol) = 11.75
- spin multiplicity = 1

CARTESIAN COORDINATES (ANGSTROEM)
C: 0.6836 1.2561 -1.2449
C: 0.6153 -0.2593 -1.2482
C: -0.7312 -0.8770 -1.5565
H: 0.2023 1.6664 -2.1458
H: 1.7005 1.6424 -1.2824
H: 0.1490 1.7293 -0.4225
H: 0.8019 -0.5539 -0.2288
H: 1.4654 -0.7259 -1.7293
H: -0.7329 -1.9419 -1.3273
H: -1.4990 -0.4361 -0.9102
H: -1.1378 -0.7527 -2.5646
N: -0.4121 -0.0558 3.5849
H: 0.2368 -0.3154 2.8525
H: -0.4800 -0.8484 4.2078
H: -1.2822 0.1040 3.1352

Forces on atoms 1 to 2 (eV/Å):
C -0.40 0.58 -1.25
C 0.12 -0.01 1.05

Charges in e, computed with Löwdin, in the same order as the atoms: -0.126 -0.332 -0.129 0.071 0.066 0.068 0.079 0.097 0.066 0.071 0.069 0.015 -0.004 0.004 -0.015

=====

Entry 2:
C27H26GaN9O5S | ωB97M-V with the def2-TZVPD basis set

- HOMO energy (eV) = -7.417
- charge = 0
- Kohn-Sham gap (eV) = 5.90
- ΔE to the lowest compared entry with this formula, charge and spin (kJ/mol) = 155.30
- spin multiplicity = 1

CARTESIAN COORDINATES (ANGSTROEM)
Ga: -0.2196 0.8492 -0.2473
O: -3.9408 -0.3130 5.4153
C: -2.9666 0.4493 5.4767
O: -2.4631 1.0275 6.4442
C: -2.1859 0.6213 4.1208
C: -0.8859 1.1039 4.0466
C: -0.2312 1.2352 2.8228
N: -0.8626 0.8200 1.6986
C: -2.1327 0.3190 1.7378
C: -2.8097 0.2212 2.9671
C: -2.6013 -0.3726 0.4443
O: -3.6834 -0.9759 0.3200
O: -1.6949 -0.3462 -0.4827
H: -0.4432 1.3314 4.9637
H: 0.6263 1.8012 2.6558
H: -3.7797 -0.2344 3.1360
C: 0.9070 -4.2658 -3.7157
C: 1.9522 -3.0739 -3.6715
N: 1.3146 -1.7941 -3.5845
C: 0.7683 -1.1728 -4.7912
C: -0.7706 -1.3944 -5.0457
C: 1.0371 -1.2461 -2.3633
S: 0.6415 0.4790 -2.3938
N: 1.1295 -2.0729 -1.3279
C: 1.0895 -1.7550 -0.0468
O: 1.0525 -0.5990 0.4171
C: 1.0573 -2.8747 0.9127
C: 1.0844 -4.1496 0.2862
C: 0.7754 -5.2715 1.0434
C: 0.4495 -5.1078 2.3907
C: 0.4999 -3.9026 3.0102
C: 0.8335 -2.7692 2.2494
H: 1.5126 -5.1586 -3.6561
H: 0.2546 -4.1994 -4.5605
H: 0.3197 -4.2063 -2.8116
H: 2.6027 -3.0453 -4.5718
H: 2.5701 -3.1853 -2.7380
H: 1.3960 -1.6172 -5.5504
H: 1.0890 -0.1746 -4.8036
H: -1.1238 -2.4421 -4.9768
H: -1.0567 -0.9472 -5.9976
H: -1.4469 -0.8286 -4.4113
H: 1.3772 -4.2414 -0.7279
H: 0.7529 -6.2867 0.6742
H: 0.2590 -6.0473 2.8611
H: 0.3027 -3.8690 4.1122
H: 0.9225 -1.8335 2.7193
N: 3.0673 1.2454 0.6814
C: 2.4584 2.4519 0.7226
N: 3.2079 3.5001 1.1504
C: 2.5233 4.6576 1.1897
N: 3.0858 5.7721 1.6839
N: 1.2494 4.8558 0.6539
C: 0.6374 3.7122 0.3342
N: 1.1932 2.4940 0.2743
C: -0.7555 3.7872 -0.1039
C: -1.5263 4.9338 -0.0609
C: -2.8259 4.8437 -0.5801
C: -3.3089 3.6816 -1.1102
C: -2.5005 2.5405 -1.0624
N: -1.2453 2.6545 -0.5665
H: 4.0032 1.2032 1.0990
H: 2.5962 0.4125 0.3622
H: 4.0364 5.7006 2.0238
H: 2.5410 6.5903 1.6900
H: -1.1060 5.7488 0.4864
H: -3.5177 5.6066 -0.5682
H: -4.3129 3.5854 -1.5162
H: -2.7796 1.5379 -1.2335

Forces on atoms 1 to 2 (eV/Å):
Ga 0.56 -0.30 0.35
O -0.15 0.11 -0.48

Charges in e, computed with Löwdin, in the same order as the atoms: 0.163 -0.025 -0.697 -0.026 -0.078 0.035 -0.050 0.058 -0.100 0.078 -0.520 0.074 -0.059 0.099 0.086 0.133 -0.045 -0.191 -0.154 -0.223 -0.048 -0.577 0.841 0.121 -0.403 -0.059 -0.125 0.001 -0.055 -0.093 -0.054 -0.003 0.068 0.049 0.057 0.123 0.123 0.109 0.054 0.073 0.069 0.056 0.079 0.104 0.101 0.131 0.102 0.204 -0.402 0.181 -0.396 0.183 0.187 -0.255 0.127 -0.190 0.053 -0.015 -0.003 -0.012 0.079 0.132 0.069 0.122 0.096 0.113 0.094 0.126 0.106

=====

Entry 3:
C29H38As2F3MnN6O3 | ωB97M-V with the def2-TZVPD basis set

- HOMO energy (alpha / beta) (eV) = -4.566 / -4.489